“Having a baby will change your life forever.” I’m sure we all heard these words before we had children but didn’t really appreciate what they meant until we had our own kids to wrangle. I think the same concept applies when thinking about how pregnancy and childbirth changes our bodies. We don’t realise how much things will change until we experience it for ourselves. Instagram is full of images of “yummy mummies” looking fit and fabulous (and well-rested!) within weeks of childbirth. This might be the case for a lucky few, but for most women, postnatal recovery actually takes far more effort, time and tears than they ever realised.
It’s actually a bit odd that we think our bodies can just bounce back from pregnancy and childbirth. After any other significant body change, like an injury or surgery, we normally seek rehabilitation as a matter of course. For example, if you had shoulder surgery or even a sprained ankle, you would be given a series of exercises to restore your movement and strength, gradually progressing to functional activities. So why do we treat recovery from pregnancy and birth differently? After all, our bodies spent 40 weeks growing another human being, and to do this they had to go through some enormous changes. And then there are the changes related to childbirth…
I recently listened to trainer Tiff Hall’s TED-X talk about postnatal recovery. I highly recommend it to any woman recovering from pregnancy and childbirth. Unlike many other women in the public spotlight, Tiff Hall made a deliberate choice not to push her body hard in the early months after her son, Arnold, was born. She realised her body needed time to recover. She resisted the pressure to restrict her diet and return to strenuous exercise too early to get her bikini body back, and instead took the time she needed to get to know her son, get some sleep and work on a slow, measured and sensible recovery program. As she says, it may not have made the sexy headline, but she ultimately ended up being better for it. She terms it “bouncing forward” instead of bouncing back. I love that idea.
So, here are my top 3 reasons why you may need postnatal rehabilitation – and what you can do to help your recovery.
This pretty much sums it all up. There is a good reason for the term “the child-bearing year”. It takes up to 3 months for many of the amazing changes of pregnancy to revert to their normal state.
What can you do to help?
Make sure you give your body time to recover and try to get plenty of rest. You are probably getting broken sleep, which makes recovery slower too. Try to eat healthily and accept all offers of help! Be kind to yourself and don’t try to be Superwoman. As USA sport star Tom Brady once said, “I firmly believe that sleep and recovery are critical aspects of an effective and holistic training program.”
Build up your fitness and strength in a sensible and graduated way. Above all, listen to your body – if you feel exhausted, a short nap may be better than an hour at the gym. Nonetheless, some exercise often helps fatigue, so try to do little amounts every day, gradually increasing what you can do over time. Walking, gentle Pilates and a specific postnatal class (like Mums & Bubs Classes) can be a great way to start.
They have been stretched over 40 weeks and this also makes them thinner and weaker.
What can you do to help?
While the abdominal muscles recover, try not to load them too much, too early. Women are told not to lift anything heavier than their baby for 6 weeks after a C-section. I think this advice should be given to all women, regardless of mode of delivery - even without being cut, these muscles will still be weaker for some time.
Start by learning how to reconnect with your core. This involves learning to engage your deepest abdominal muscles, pelvic floor and breath. You can use this core contraction for support as you lift your baby, get out of bed or do anything else that requires more support.
[Calculated molecules, kept here for reference]
C34H32Cl4F4N4O2V as an isolated structure, computed with ωB97M-V/def2-TZVPD.

```
81
Properties=species:S:1:pos:R:3:forces:R:3:lowdin_charge:R:1
V 0.6754 0.5093 -0.8149 -0.6 0.7 0.9 0.7730
Cl 2.8029 -0.9100 -1.6539 0.0 -0.2 0.0 0.6741
Cl -1.1586 -1.9135 2.9313 0.4 -0.3 0.3 0.8984
Cl 4.7227 1.2532 -1.1028 0.1 0.0 0.0 0.5903
Cl 3.6625 -3.6467 4.8542 0.1 -0.1 0.0 0.7018
F -1.4834 3.3062 2.3229 -0.2 0.0 -0.3 0.0515
F -3.3189 2.5036 3.9932 -0.1 0.0 0.0 0.0828
F -3.8226 -1.5509 1.6466 0.0 0.2 0.0 0.0592
F -1.9914 -0.7896 -0.0881 0.0 0.2 0.2 0.0695
O 2.0157 1.2749 0.6514 0.4 0.3 -0.4 -0.1104
O 1.0288 -0.6509 0.9122 -0.1 -0.2 -0.2 -0.0770
N 0.4944 2.1822 -2.2682 0.1 0.1 0.1 -0.2518
N 1.4447 -1.7795 4.7785 -0.3 0.0 0.0 0.0581
N -0.1657 -0.6801 -2.0574 1.2 0.9 1.1 0.0178
N -0.7000 1.6303 0.0493 0.6 0.0 -0.4 -0.0833
C -1.4127 -2.1822 -3.7172 0.3 0.3 0.4 -0.2219
C 2.3778 0.1163 2.7285 0.0 -0.1 0.1 -0.0134
C -3.0107 1.6791 2.9758 -0.1 -0.1 -0.1 -0.2318
C 2.2747 -3.8014 3.8045 0.0 0.0 0.0 -0.5781
C -0.7857 1.0925 5.4826 0.1 0.0 0.0 -0.0671
C -1.4185 3.5279 -3.3133 0.0 0.0 0.0 -0.0692
C -2.0555 2.1027 2.0714 0.0 -0.1 -0.2 -0.1523
C 1.6317 2.1485 -3.2053 0.0 -0.1 0.0 -0.2528
C 2.2255 -4.8801 2.9473 0.0 -0.1 0.0 -0.1222
C 0.6211 3.2524 -1.2671 0.1 0.0 0.1 -0.1753
C -1.5478 -3.3839 -5.7981 0.1 0.0 0.0 -0.0947
C 1.2887 0.4386 3.7277 -0.1 0.1 0.1 -0.1423
C 1.2811 -2.8106 3.8657 0.0 0.1 -0.2 -0.2880
C -0.3760 2.0054 4.5200 0.2 0.1 0.2 -0.0845
C 4.3403 -0.1283 -2.1135 0.0 0.0 -0.1 -0.9357
C -1.6373 1.3080 0.9831 -0.5 -0.4 0.4 -0.1465
C -2.7058 -2.6136 -3.3917 -0.2 -0.1 0.1 -0.0368
C -3.6329 0.4519 2.8830 0.1 0.1 -0.1 0.0554
C 1.7895 0.2474 1.3553 0.1 -0.1 0.1 -0.6465
C 1.1531 -5.0164 2.0831 0.0 0.0 0.0 -0.0915
C 0.1493 -4.0665 2.1071 0.0 0.0 0.0 -0.1080
C -0.8227 2.1723 -2.9530 0.0 -0.2 0.0 -0.2218
C 0.6566 1.6793 3.6572 0.1 0.0 0.1 -0.0145
C -0.8353 -2.5796 -4.9303 0.1 -0.1 -0.2 -0.0503
C -0.1696 -0.1441 5.5606 0.0 0.0 0.0 -0.0363
C 1.7488 3.2839 -4.2144 0.0 0.0 0.0 -0.0685
C -3.2483 -0.3436 1.8195 -0.3 0.0 -0.1 -0.3187
C -0.7042 -1.3545 -2.8167 -1.5 -1.7 -1.9 -0.1039
C -2.8281 -3.8116 -5.4753 -0.1 -0.1 -0.1 -0.0998
C 0.2023 -2.9904 2.9763 0.1 0.0 0.3 -0.5242
C 0.8489 -0.4801 4.6786 0.1 0.0 -0.1 -0.2465
C -2.2918 0.0574 0.9167 -0.1 0.2 -0.2 -0.2057
C -3.3970 -3.4244 -4.2696 -0.1 0.1 0.1 -0.0877
C -0.3455 3.0419 -0.0874 0.1 0.1 0.0 -0.1864
H -3.3780 -4.4448 -6.1569 0.0 0.0 0.0 0.0978
H -3.1440 -2.3130 -2.4502 0.0 0.0 0.0 0.1130
H -1.5936 1.3391 6.1590 0.0 0.0 0.0 0.1084
H 3.0329 -5.5989 2.9622 0.0 0.0 0.0 0.1016
H -1.2516 3.6452 -0.2146 0.0 0.0 0.0 0.1185
H -1.7152 4.0852 -2.4257 0.0 0.0 0.0 0.0680
H -0.4900 -0.8839 6.2818 0.0 0.0 0.0 0.1166
H 1.6505 3.2015 -0.9059 -0.1 0.0 0.0 0.1138
H 2.5332 2.1247 -2.5898 0.0 0.0 0.0 0.0708
H 1.5733 1.1907 -3.7336 0.0 0.0 0.0 0.1114
H 0.9491 3.2579 -4.9537 0.0 0.0 0.0 0.0706
H 3.2215 0.7999 2.8315 -0.1 0.0 0.0 0.1354
H -0.7506 4.1549 -3.9004 0.0 0.0 0.0 0.0608
H 5.1118 -0.8808 -2.0001 0.0 0.0 0.0 0.0318
Learn how to integrate your core muscles with your more superficial abdominal muscles for return to strength and function. This can be done in different ways, but carefully graded abdominal exercises, such as those found in Pilates, can be one way. A Physiotherapist specialising in Women’s Health and specific postnatal classes (like Mums & Bubs Classes) can an ideal way to get you started safely.
What can you do to help?
Pelvic floor muscle training is the best way to start. But like any exercises, they need to be done correctly, and you need to know how many, how often and when to do your exercises. It is best to see a Physiotherapist specialising in Women’s Health and Continence to help with this.
Your Physio will not only teach you how to do pelvic floor exercises correctly. They can also teach you how to use your muscles in a co-ordinated way for function, for example, when coughing and exercising. Pelvic floor exercises also need to be progressed over time, just like other exercises, to get you back to the strength and support your body needs. Some women also benefit from other forms of help, like a support pessary for prolapse or vaginal oestrogen if low oestrogen during breast feeding may be contributing to your symptoms.
So now you know why you can’t bounce back straight after having a baby. However, if you rehabilitate sensibly and gradually, often with some guidance, you should be able to “bounce forward” instead!
Stay tuned next month for advice on rehab after gynaecological surgery!